Creating Courses for Elementary school is a two step process. The first step being the creation of student groups and the second step being the creation of the courses themselves.
The student groups are used to populate the courses with students, therefore it is required to create all the necessary groups before setting up the courses. The easiest way to do this is to create groups for all your ATS official classes as well as special groups that meet for other courses such as ELL Courses or Special Needs Courses.
If you need to transfer previous year's groups, please Click Here.
Note: If your previous year's groups were made by student selection or by pasting entries, you will need to update your groups.
If you do not need to create new courses and wish to import last years courses to the new term, please Click Here.
Where to Start
To begin, click the Account tab and select Student Groups.
Create Student Groups
On the Student Groups page, click the Create New Group button.
On the Create New Group page, you can add students to your group using the Criteria drop-down menu or the Paste Entries option.
If adding students based on identifying criteria, use the Criteria drop-down menu. Available criteria includes: Students, Flags, Age, Official Class, Counselor, Cohort, Course Code, Course Section, Teacher, and Ethnicity.
For the purposes of creating your courses, we will only be focusing on the following sections: Students, Flags, Official Class.
- Students: allows you to manually select students for your group.
- Flags: if you are working on special groups, please select "Flags" from the Criteria selection box.
- Official Class: if you are working on ATS Official Class group, please select "Official Class" from the Criteria selection box.
If you already have a list of student ID numbers that you want to add to your Student Group, bypass the Criteria drop-down and use the Paste Entries option.
In the Paste Entries pop-up, copy and paste all your ID numbers into the textbox, making sure to have one ID number per line. Then simply click the Add to Group button.
If you added a student to the group by mistake, you can remove them by clicking the red x icon next to their name.
Once you've added all students, give your group a name using the Group Name textbox. You can also Save your group, Delete it entirely, or mark the group as Private here.
When a group is marked as private, only the creator can see or use the group. Public groups can be seen and used by all users, but cannot be edited by anyone except the group's creator.
Be sure to click the Save button when you've made all necessary changes to your group.
Create Courses
Click the Settings tab and choose Create Course.
On the Course Creation page, give your course a Title.
Next to the text, the page also holds records of crystals =
/*
A relaxed TbSnN crystal, computed with PBE.

a b c (Å): 6.1964 10.9381 15.8573
angles (deg): 90.00 90.00 90.00
Closest atoms and distances in Å follow each position.
Space group Fddd (No. 70, origin choice 2)
Symmetry-distinct sites (fractional):
Tb (0.1250, 0.3109, 0.1250) [16 per cell]  2 N 2.23
Sn (0.1250, 0.1250, 0.5366) [16 per cell]  2 N 2.76, 1 Sn 2.80, 2 Tb 3.07
N (0.0000, 0.0000, 0.0000) [16 per cell]  2 Tb 2.23

total DFT energy (no corrections) = -269.6 eV/cell
calculated density = 7210 kg/m3
raw formation energy = 3.53 kJ per mole of atoms
DOS at the Fermi energy = 23.806 states/eV per cell

A relaxed Tb2Th4Sn3N2 crystal, computed with PBE.

a b c (Å): 4.8102 4.8102 25.8342
angles (deg): 90.00 90.00 90.00
Closest atoms and distances in Å follow each position.
Space group I4/mmm (No. 139)
Symmetry-distinct sites (fractional):
Tb (0.0000, 0.0000, 0.1962) [4 per cell]  1 N 2.35
Th (0.0000, 0.5000, 0.0844) [8 per cell]  2 N 2.46
Sn (0.0000, 0.0000, 0.3202) [4 per cell]  5 Tb 3.20-3.43, 4 Th 3.44
Sn (0.0000, 0.0000, 0.5000) [2 per cell]  8 Th 3.25
N (0.0000, 0.0000, 0.1052) [4 per cell]  1 Tb 2.35, 4 Th 2.46

total DFT energy (no corrections) = -154.4 eV/cell
calculated density = 9057 kg/m3
raw formation energy = -84.02 kJ per mole of atoms
DOS at the Fermi energy = 12.738 states/eV per cell

A relaxed Tb4TlSnN crystal, computed with PBE.

a b c (Å): 6.7017 16.1071 6.7019
angles (deg): 90.00 90.00 90.00
Closest atoms and distances in Å follow each position.
Space group Cmcm (No. 63)
Symmetry-distinct sites (fractional):
Tb (0.0000, 0.0873, 0.2500) [4 per cell]  1 N 2.64
Tb (0.0000, 0.4105, 0.2500) [4 per cell]  1 N 2.57
Tb (0.2500, 0.2500, 0.0000) [8 per cell]  2 N 2.37
Tl (0.0000, 0.1096, 0.7500) [4 per cell]  9 Tb 3.17-3.37
Sn (0.0000, 0.3911, 0.7500) [4 per cell]  9 Tb 3.19-3.37
N (0.0000, 0.2510, 0.2500) [4 per cell]  6 Tb 2.37-2.64

total DFT energy (no corrections) = -156.5 eV/cell
calculated density = 8932 kg/m3
raw formation energy = -81.62 kJ per mole of atoms
DOS at the Fermi energy = 6.845 states/eV per cell

A relaxed Tb2TmSnN4 crystal, computed with PBE.

a b c (Å): 5.9696 3.4625 6.0130
angles (deg): 90.00 109.65 90.00
Closest atoms and distances in Å follow each position.
Space group P2/m (No. 10)
Symmetry-distinct sites (fractional):
Tb (0.0000, 0.0000, 0.0000) [1 per cell]  6 N 2.47-2.48
Tb (0.0000, 0.5000, 0.5000) [1 per cell]  6 N 2.42-2.43
Tm (0.5000, 0.0000, 0.5000) [1 per cell]  6 N 2.42
Sn (0.5000, 0.5000, 0.0000) [1 per cell]  6 N 2.46-2.48
N (0.2491, 0.0000, 0.7434) [2 per cell]  1 Tm 2.42, 3 Tb 2.43-2.48, 2 Sn 2.46
N (0.2510, 0.5000, 0.2578) [2 per cell]  3 Tb 2.42-2.47, 2 Tm 2.42, 1 Sn 2.48

total DFT energy (no corrections) = -59.7 eV/cell
calculated density = 9385 kg/m3
raw formation energy = -104.67 kJ per mole of atoms
DOS at the Fermi energy = 4.087 states/eV per cell

A relaxed TbY2SnN4 crystal, computed with PBE.

a b c (Å): 6.0220 3.4812 6.0338
angles (deg): 90.00 109.62 90.00
*/
Make sure that your course name is unique so that it can be identified by all users as needed. Two good examples are "Math 101", which denotes the course and the ATS official class, and "English 2-301", which denotes the course and the in-house class code.
Fill out the remaining information about your course. Review the notes below for clarification on each field.
- Department: select the department from the Department selection box.
- Teacher Name: enter the Teacher Name in the corresponding textbox. Note: This textbox does not link the teacher to the class nor does it populate the name on the Classroom Report Card.
- Room (optional): enter the Room Number in the corresponding textbox.
- Days Meeting: select the days the class meets by checking the corresponding day's check box.
• Here the piece breaks off for calculated crystals:
-- begin --
## ReAg2GeF (PBE-GGA)

Data for a geometry-optimized ReAg2GeF structure.

The structure in extended XYZ format:
```
5
Lattice="5.218 0.000 0.000 0.000 5.218 0.000 0.000 0.000 3.852" Properties=species:S:1:pos:R:3 pbc="T T T"
Re 0.000 0.000 0.000
Ag 0.000 2.609 0.000
Ag 2.609 0.000 0.000
Ge 2.609 2.609 1.926
F 0.000 0.000 1.926
```

- uncorrected formation energy (eV per atom) = 0.71
- SG = P4/mmm, No. 123
- crystal system = tetragonal

=====

## GaTcO4 (PBE-GGA)

Data for a geometry-optimized GaTcO4 structure.

The structure in extended XYZ format:
```
12
Lattice="5.537 0.000 0.000 0.000 4.605 0.000 -2.172 0.000 5.109" Properties=species:S:1:pos:R:3 pbc="T T T"
Ga 0.000 0.000 0.000
Ga -1.086 2.303 2.554
Tc 1.683 0.000 2.554
Tc 2.769 2.303 0.000
O 0.109 0.878 1.800
O -0.977 1.424 4.354
O 0.521 3.240 3.358
O 1.607 3.668 0.804
O 1.758 0.937 4.305
O 2.844 1.366 1.751
O 4.342 3.181 0.755
O 3.256 3.727 3.309
```

- uncorrected formation energy (eV per atom) = -1.49
- SG = P2_1/c, No. 14
- crystal system = monoclinic

=====

## MgPaRh (PBE-GGA)

Data for a geometry-optimized MgPaRh structure.

The structure in extended XYZ format:
```
6
Lattice="3.760 0.000 0.000 0.000 3.760 0.000 0.000 0.000 8.511" Properties=species:S:1:pos:R:3 pbc="T T T"
Mg 0.940 2.820 0.000
Mg 2.820 0.940 0.000
Pa 0.940 0.940 3.137
Pa 2.820 2.820 5.374
Rh 0.940 0.940 6.398
Rh 2.820 2.820 2.114
```

- distance to the lowest polymorph of the same formula (eV per atom) = 0.000
- E_form (eV/atom) = -0.479
- SG = P4/nmm, No. 129
- crystal system = tetragonal

=====

## BaTbTe4 (PBE-GGA)

Data for a geometry-optimized BaTbTe4 structure.

The structure in extended XYZ format:
```
12
Lattice="7.009 0.000 0.000 0.000 7.009 0.000 0.000 0.000 8.432" Properties=species:S:1:pos:R:3 pbc="T T T"
Ba 1.752 1.752 0.000
Ba 5.256 5.256 0.000
Tb 1.752 1.752 4.216
Tb 5.256 5.256 4.216
Te 0.690 4.194 2.408
Te 0.690 6.318 6.024
Te 2.814 4.194 6.024
Te 2.814 6.318 2.408
Te 4.194 0.690 6.024
Te 4.194 2.814 2.408
Te 6.318 0.690 2.408
Te 6.318 2.814 6.024
```

- uncorrected formation energy (eV per atom) = -1.11
- SG = P4/nbm, No. 125
- crystal system = tetragonal

=====

## NaSmEuPb (PBE-GGA)

Data for a geometry-optimized NaSmEuPb structure.

The structure in extended XYZ format:
```
4
Lattice="0.000 3.958 3.958 3.958 0.000 3.958 3.958 3.958 0.000" Properties=species:S:1:pos:R:3 pbc="T T T"
Na 0.000 0.000 0.000
Sm 1.979 1.979 1.979
Eu 5.936 5.936 5.936
Pb 3.958 3.958 3.958
```

- E_form (eV/atom) = -0.238
- SG = F-43m, No. 216
- crystal system = cubic

=====

| no. | M_tot (μB/cell) |
| --- | --- |
| 1 | 1.62 |
| 2 | 3.41 |
| 3 | 0.00 |
| 4 | 0.00 |
| 5 | 7.72 |

=====

Entry 1:
# Ca4Mg3Si8NiO24 | Alexandria via LeMat-Bulk | PBEsol | relaxed
# Raw formation energy ... -113.75 eV per formula unit
# Magnetization ... 0.05 μB/atom
data_Ca4Mg3Si8NiO24
_chemical_formula_sum 'Ca4 Mg3 Si8 Ni1 O24'
_cell_length_a 5.253
_cell_length_b 8.882
_cell_length_c 9.748
_cell_angle_alpha 90.00
_cell_angle_beta 105.33
-- stop --
- Period: select the period which the class meets from the period selection box.
- Populate with students from group: select the group of students which must be linked to this class from the "Populate with students from group" selection box. This group should be one of the groups which you previously created. Note: Any group with more than 100 students will not be visible in this section.
- Primary Teacher User Account: select the teacher who will be entering grades for this course from the Primary Teacher User Account selection box. If multiple teachers will be entering grades for this course, please select the primary teacher as per D.O.E. regulation.
Once you've filled out all necessary information about your course, click the Create Course button to save your changes and create your course.